**Source:**
=====
Compound: Ba2ZnIn
Source: the Alexandria database
Functional: GGA-PBEsol
Structure: relaxed

Structure (POSCAR):
```
Ba2ZnIn
1.0
0.000 4.107 4.107
4.107 0.000 4.107
4.107 4.107 0.000
Ba Zn In
2 1 1
Direct
0.250 0.250 0.250
0.750 0.750 0.750
0.000 0.000 0.000
0.500 0.500 0.500
```

Summary:
- Formation enthalpy at 0 K: -0.26 eV/atom
- Spin magnetization: 0.0 μB/cell
- E_tot: -9.92 eV/cell

Compound: BaZn2In
Source: the Alexandria database
Functional: GGA-PBEsol
Structure: relaxed

Structure (POSCAR):
```
BaZn2In
1.0
3.910 0.000 0.000
0.000 4.271 0.000
-1.949 0.000 6.231
Ba Zn In
1 2 1
Direct
0.000 0.000 0.000
0.267 0.000 0.532
0.364 0.500 0.728
0.696 0.500 0.389
```

Summary:
- Formation enthalpy at 0 K: -0.15 eV/atom
- Spin magnetization: 0.0 μB/cell
- E_tot: -8.88 eV/cell

Compound: BaZnIn2
Source: the Alexandria database
Functional: GGA-PBEsol
Structure: relaxed

Structure (POSCAR):
```
BaZnIn2
1.0
4.721 0.000 0.000
0.000 4.721 0.000
0.000 0.000 5.004
Ba Zn In
1 1 2
Direct
0.000 0.000 0.000
0.500 0.500 0.000
0.000 0.500 0.500
0.500 0.000 0.500
```

Summary:
- Formation enthalpy at 0 K: -0.11 eV/atom
- Spin magnetization: 0.0 μB/cell
- E_tot: -10.13 eV/cell

Compound: BaZnIn2
Source: the Alexandria database
Functional: GGA-PBEsol
Structure: relaxed

Structure (POSCAR):
```
BaZnIn2
1.0
3.193 -5.623 0.000
3.193 5.623 0.000
-1.125 0.000 3.101
Ba Zn In
1 1 2
Direct
0.000 0.000 0.000
0.500 0.500 0.000
0.000 0.500 0.500
0.500 0.000 0.500
```

Summary:
- Formation enthalpy at 0 K: 0.03 eV/atom
- Spin magnetization: 0.0 μB/cell
- E_tot: -9.57 eV/cell

Compound: BaZn2In
Source: the Alexandria database
Functional: GGA-PBEsol
Structure: relaxed

Structure (POSCAR):
```
BaZn2In
1.0
2.216 1.280 6.207
-2.216 1.280 6.207
0.000 -2.559 6.207
Ba Zn In
1 2 1
Direct
0.000 0.000 0.000
0.467 0.467 0.467
0.801 0.801 0.801
0.203 0.203 0.203
```

Summary:
- Formation enthalpy at 0 K: -0.22 eV/atom
- Spin magnetization: 0.0 μB/cell
- E_tot: -9.16 eV/cell

Compound: BaZnIn
Source: the Alexandria database
Functional: GGA-PBEsol
Structure: relaxed

Structure (POSCAR):
```
BaZnIn
1.0
0.000 3.687 3.687
3.687 0.000 3.687
3.687 3.687 0.000
Ba Zn In
1 1 1
Direct
0.000 0.000 0.000
0.500 0.500 0.500
0.750 0.750 0.750
```

Summary:
- Formation enthalpy at 0 K: 0.05 eV/atom
- Spin magnetization: 0.8 μB/cell
- E_tot: -6.57 eV/cell

Compound: Ba2Ir3
Source: the Alexandria database
Functional: GGA-PBEsol
Structure: relaxed

Structure (POSCAR):
```
Ba2Ir3
1.0
2.088 1.205 9.093
-2.088 1.205 9.093
0.000 -2.411 9.093
Ba Ir
2 3
Direct
0.094 0.094 0.094
0.906 0.906 0.906
0.333 0.333 0.333
0.500 0.500 0.500
0.667 0.667 0.667
```

Summary:
- Formation enthalpy at 0 K: 0.38 eV/atom
- Spin magnetization: 0.7 μB/cell
- E_tot: -31.86 eV/cell

Compound: BaIr
Source: the Alexandria database
Functional: GGA-PBEsol
Structure: relaxed

Structure (POSCAR):
```
BaIr
1.0
2.181 1.259 8.591
-2.181 1.259 8.591
0.000 -2.518 8.591
Ba Ir
2 2
Direct
0.081 0.081 0.081
0.919 0.919 0.919
0.333 0.333 0.333
0.667 0.667 0.667
```

Summary:
- Formation enthalpy at 0 K: -0.14 eV/atom
- Spin magnetization: 0.8 μB/cell
- E_tot: -24.50 eV/cell

Compound: Ba2Ir
Source: the Alexandria database
Functional: GGA-PBEsol
Structure: relaxed

Structure (POSCAR):
```
Ba2Ir
1.0
0.000 3.697 3.697
3.697 0.000 3.697
3.697 3.697 0.000
Ba Ir
2 1
Direct
0.250 0.250 0.250
0.750 0.750 0.750
0.000 0.000 0.000
```

Summary:
- Formation enthalpy at 0 K: -0.04 eV/atom
- Spin magnetization: 0.0 μB/cell
- E_tot: -14.23 eV/cell

Compound: BaIr
Source: the Alexandria database
Functional: GGA-PBEsol
Structure: relaxed

Structure (POSCAR):
```
BaIr
1.0
5.793 -2.057 0.000
5.793 2.057 0.000
-1.097 0.000 7.710
Ba Ir
3 3
Direct
0.000 0.000 0.000
0.053 0.053 0.576
0.775 0.775 0.301
0.265 0.265 0.966
0.335 0.335 0.655
0.759 0.759 0.777
```

Summary:
- Formation enthalpy at 0 K: 0.19 eV/atom
- Spin magnetization: 0.0 μB/cell
- E_tot: -34.77 eV/cell

Compound: BaIr
Source: the Alexandria database
Functional: GGA-PBEsol
Structure: relaxed
=====
**Exercise:**
Return all of the block further above exactly.
**Here it is:**
Compound: Ba2ZnIn
Source: the Alexandria database
Functional: GGA-PBEsol
Structure: relaxed

Structure (POSCAR):
```
Ba2ZnIn
1.0
0.000 4.107 4.107
4.107 0.000 4.107
4.107 4.107 0.000
Ba Zn In
2 1 1
Direct
0.250 0.250 0.250
0.750 0.750 0.750
0.000 0.000 0.000
0.500 0.500 0.500
```

Summary:
- Formation enthalpy at 0 K: -0.26 eV/atom
- Spin magnetization: 0.0 μB/cell
- E_tot: -9.92 eV/cell

Compound: BaZn2In
Source: the Alexandria database
Functional: GGA-PBEsol
Structure: relaxed

Structure (POSCAR):
```
BaZn2In
1.0
3.910 0.000 0.000
0.000 4.271 0.000
-1.949 0.000 6.231
Ba Zn In
1 2 1
Direct
0.000 0.000 0.000
0.267 0.000 0.532
0.364 0.500 0.728
0.696 0.500 0.389
```

Summary:
- Formation enthalpy at 0 K: -0.15 eV/atom
- Spin magnetization: 0.0 μB/cell
- E_tot: -8.88 eV/cell

Compound: BaZnIn2
Source: the Alexandria database
Functional: GGA-PBEsol
Structure: relaxed

Structure (POSCAR):
```
BaZnIn2
1.0
4.721 0.000 0.000
0.000 4.721 0.000
0.000 0.000 5.004
Ba Zn In
1 1 2
Direct
0.000 0.000 0.000
0.500 0.500 0.000
0.000 0.500 0.500
0.500 0.000 0.500
```

Summary:
- Formation enthalpy at 0 K: -0.11 eV/atom
- Spin magnetization: 0.0 μB/cell
- E_tot: -10.13 eV/cell

Compound: BaZnIn2
Source: the Alexandria database
Functional: GGA-PBEsol
Structure: relaxed

Structure (POSCAR):
```
BaZnIn2
1.0
3.193 -5.623 0.000
3.193 5.623 0.000
-1.125 0.000 3.101
Ba Zn In
1 1 2
Direct
0.000 0.000 0.000
0.500 0.500 0.000
0.000 0.500 0.500
0.500 0.000 0.500
```

Summary:
- Formation enthalpy at 0 K: 0.03 eV/atom
- Spin magnetization: 0.0 μB/cell
- E_tot: -9.57 eV/cell

Compound: BaZn2In
Source: the Alexandria database
Functional: GGA-PBEsol
Structure: relaxed

Structure (POSCAR):
```
BaZn2In
1.0
2.216 1.280 6.207
-2.216 1.280 6.207
0.000 -2.559 6.207
Ba Zn In
1 2 1
Direct
0.000 0.000 0.000
0.467 0.467 0.467
0.801 0.801 0.801
0.203 0.203 0.203
```

Summary:
- Formation enthalpy at 0 K: -0.22 eV/atom
- Spin magnetization: 0.0 μB/cell
- E_tot: -9.16 eV/cell

Compound: BaZnIn
Source: the Alexandria database
Functional: GGA-PBEsol
Structure: relaxed

Structure (POSCAR):
```
BaZnIn
1.0
0.000 3.687 3.687
3.687 0.000 3.687
3.687 3.687 0.000
Ba Zn In
1 1 1
Direct
0.000 0.000 0.000
0.500 0.500 0.500
0.750 0.750 0.750
```

Summary:
- Formation enthalpy at 0 K: 0.05 eV/atom
- Spin magnetization: 0.8 μB/cell
- E_tot: -6.57 eV/cell

Compound: Ba2Ir3
Source: the Alexandria database
Functional: GGA-PBEsol
Structure: relaxed

Structure (POSCAR):
```
Ba2Ir3
1.0
2.088 1.205 9.093
-2.088 1.205 9.093
0.000 -2.411 9.093
Ba Ir
2 3
Direct
0.094 0.094 0.094
0.906 0.906 0.906
0.333 0.333 0.333
0.500 0.500 0.500
0.667 0.667 0.667
```

Summary:
- Formation enthalpy at 0 K: 0.38 eV/atom
- Spin magnetization: 0.7 μB/cell
- E_tot: -31.86 eV/cell

Compound: BaIr
Source: the Alexandria database
Functional: GGA-PBEsol
Structure: relaxed

Structure (POSCAR):
```
BaIr
1.0
2.181 1.259 8.591
-2.181 1.259 8.591
0.000 -2.518 8.591
Ba Ir
2 2
Direct
0.081 0.081 0.081
0.919 0.919 0.919
0.333 0.333 0.333
0.667 0.667 0.667
```

Summary:
- Formation enthalpy at 0 K: -0.14 eV/atom
- Spin magnetization: 0.8 μB/cell
- E_tot: -24.50 eV/cell

Compound: Ba2Ir
Source: the Alexandria database
Functional: GGA-PBEsol
Structure: relaxed

Structure (POSCAR):
```
Ba2Ir
1.0
0.000 3.697 3.697
3.697 0.000 3.697
3.697 3.697 0.000
Ba Ir
2 1
Direct
0.250 0.250 0.250
0.750 0.750 0.750
0.000 0.000 0.000
```

Summary:
- Formation enthalpy at 0 K: -0.04 eV/atom
- Spin magnetization: 0.0 μB/cell
- E_tot: -14.23 eV/cell

Compound: BaIr
Source: the Alexandria database
Functional: GGA-PBEsol
Structure: relaxed

Structure (POSCAR):
```
BaIr
1.0
5.793 -2.057 0.000
5.793 2.057 0.000
-1.097 0.000 7.710
Ba Ir
3 3
Direct
0.000 0.000 0.000
0.053 0.053 0.576
0.775 0.775 0.301
0.265 0.265 0.966
0.335 0.335 0.655
0.759 0.759 0.777
```

Summary:
- Formation enthalpy at 0 K: 0.19 eV/atom
- Spin magnetization: 0.0 μB/cell
- E_tot: -34.77 eV/cell

Compound: BaIr
Source: the Alexandria database
Functional: GGA-PBEsol
Structure: relaxed